In its most basic definition, stress is our body’s response to a demand. With the introduction of the COVID-19 pandemic and all the protective measures put in place to try to wrangle it, there are plenty of new demands for people’s bodies to adjust to. Here are five strategies to help lower stress during this challenging time.
Gratitude journaling
Right now, it can be easy to focus on all we are missing out on due to the stay at home mandates. Identifying three things to be grateful for each day and writing these down can help us feel happier, allow us to better tackle stressors that we encounter during the day, and has even been shown to boost our immune functioning.
**Here the page breaks off for records of crystals:**
[1]
The following is a PBE-GGA calculation of a relaxed structure of TmSc4Rh2, from Alexandria via LeMat-Bulk.

a = 7.4185 Å, b = 5.8550 Å, c = 7.5435 Å
α = 90.00°, β = 112.52°, γ = 90.00°
With the nearest neighbours (Å) after each atom.
Space group P2_1/m (No. 11)
Unique sites:
Tm1 0.0187 0.2500 0.1590  3 Rh 2.79-3.05
Sc1 0.2402 0.5009 0.5902  4 Rh 2.80-2.88, 2 Sc 2.92-2.94
Sc2 0.3428 0.7500 0.2531  2 Rh 2.64-2.69
Sc3 0.3887 0.2500 0.0147  2 Rh 2.63-2.77
Rh1 0.0115 0.2500 0.7415  6 Sc 2.64-2.88
Rh2 0.4203 0.2500 0.3740  6 Sc 2.63-2.88, 1 Tm 2.79

The calculation puts the uncorrected energy at -6.906 eV/atom. The calculated volume comes out at 302.7 Å³/cell. As for the formation enthalpy at 0 K: -549 meV per atom.

---

[2]
The following is a PBE-GGA calculation of a relaxed structure of LiTl, from Alexandria via LeMat-Bulk.

a = 8.0028 Å, b = 8.1349 Å, c = 11.2873 Å
α = 90.00°, β = 90.00°, γ = 90.00°
With the nearest neighbours (Å) after each atom.
Space group Fddd (No. 70, origin choice 2)
Unique sites:
Li1 0.0550 0.3750 0.3750  6 Tl 2.87-3.01, 1 Li 2.88
Tl1 0.1250 0.3192 0.6250  6 Li 2.87-3.01, 1 Tl 3.16

The calculation puts the uncorrected energy at -2.241 eV/atom. The calculated volume comes out at 734.8 Å³/cell. As for the formation enthalpy at 0 K: -101 meV per atom.

---

[3]
The following is a PBE-GGA calculation of a relaxed structure of BIr2Ru, from Alexandria via LeMat-Bulk.

a = 2.7468 Å, b = 2.7468 Å, c = 23.0357 Å
α = 90.00°, β = 90.00°, γ = 120.00°
With the nearest neighbours (Å) after each atom.
Space group R3m (No. 160, hexagonal axes)
Unique sites:
B1 0.0000 0.0000 0.0000  6 Ir 2.22-2.25
Ir1 0.0000 0.0000 0.4028  3 B 2.25
Ir2 0.0000 0.0000 0.5995  3 B 2.22
Ru1 0.0000 0.0000 0.8349  6 Ru 2.75, 6 Ir 2.76-2.77

The calculation puts the uncorrected energy at -8.356 eV/atom. The calculated volume comes out at 150.5 Å³/cell. As for the formation enthalpy at 0 K: 63 meV per atom.

---

[4]
The following is a PBE-GGA calculation of a relaxed structure of Tl3H2S2, from Alexandria via LeMat-Bulk.

a = 11.4939 Å, b = 3.9544 Å, c = 8.1291 Å
α = 90.00°, β = 104.54°, γ = 90.00°
With the nearest neighbours (Å) after each atom.
Space group C2/m (No. 12)
Unique sites:
Tl1 0.0000 0.0000 0.0000  6 H 3.14-3.32, 4 S 3.31
Tl2 0.1932 0.5000 0.3205  2 S 3.01, 3 H 3.11-3.29
H1 0.2201 0.5000 0.9496  1 S 1.35
S1 0.1450 0.5000 0.7918  1 H 1.35

The calculation puts the uncorrected energy at -3.289 eV/atom. The calculated volume comes out at 357.6 Å³/cell.

---

[5]
The following is a PBE-GGA calculation of a relaxed structure of AlSiTe2, from Alexandria via LeMat-Bulk.

a = 4.0888 Å, b = 6.2648 Å, c = 7.8405 Å
α = 90.00°, β = 90.00°, γ = 90.00°
With the nearest neighbours (Å) after each atom.
Space group Cmmm (No. 65)
Unique sites:
Al1 0.0000 0.0000 0.0000  4 Te 2.82
Si1 0.0000 0.0000 0.5000  4 Te 2.85
Te1 0.0000 0.5000 0.2476  2 Al 2.82, 2 Si 2.85

Stretching — For many people, attending class, studying and participating in meetings may all be happening in the same workspace. Getting up and stretching periodically is not only good for managing aches and pains that can develop, but is a great way to alleviate muscle tension that can occur as a part of the stress response and provide proprioceptive input through our joints that can have a calming effect.

The page is interrupted by crystal structures:
'''
The following is a DFT calculation (meta-GGA SCAN) of a crystal of ZrS2Br relaxed with PBEsol.

Output
As for the magnetic moment: 3.8 μB/cell. As for the energy: -289.7 eV for the cell shown. The calculation puts the uncorrected formation energy at -3.0 eV per formula unit.

Lattice parameters (Å, degrees): 6.818 6.818 10.045 90.00 90.00 90.00
Space group I-42d (No. 122)
Unique sites:
Zr 0.000 0.000 0.000 [4 per cell]
S 0.166 0.250 0.125 [8 per cell]
Br 0.000 0.000 0.500 [4 per cell]

The following is a DFT calculation (meta-GGA SCAN) of a crystal of InSiAs relaxed with PBEsol.

Output
As for the magnetic moment: 0.0 μB/cell. As for the energy: -246.9 eV for the cell shown. The calculation puts the offset from the most stable computed form at 0.2007 eV per atom. The calculation puts the uncorrected formation energy at 1.9 eV per formula unit.

Lattice parameters (Å, degrees): 6.519 6.519 6.519 90.00 90.00 90.00
Space group F-43m (No. 216)
Unique sites:
In 0.000 0.000 0.000 [4 per cell]
Si 0.250 0.250 0.250 [4 per cell]
As 0.250 0.250 0.750 [4 per cell]

The following is a DFT calculation (meta-GGA SCAN) of a crystal of Cs2WBr6 relaxed with PBEsol.

Output
As for the magnetic moment: 8.0 μB/cell. As for the energy: -1092.3 eV for the cell shown. The calculation puts the uncorrected formation energy at -11.0 eV per formula unit.

Lattice parameters (Å, degrees): 10.599 10.599 10.599 90.00 90.00 90.00
Space group Fm-3m (No. 225)
Unique sites:
Cs 0.250 0.250 0.250 [8 per cell]
W 0.000 0.000 0.000 [4 per cell]
Br 0.000 0.000 0.239 [24 per cell]

The following is a DFT calculation (meta-GGA SCAN) of a crystal of Mg2InRu relaxed with PBEsol.

Output
The value obtained for the formation energy is -0.091 eV/atom. As for the magnetic moment: 0.0 μB/cell. As for the energy: -78.5 eV for the cell shown.

Lattice parameters (Å, degrees): 3.380 3.380 6.266 90.00 90.00 90.00
Space group P4mm (No. 99)
Unique sites:
Mg 0.000 0.000 0.000 [1 per cell]
Mg 0.500 0.500 0.279 [1 per cell]
In 0.500 0.500 0.718 [1 per cell]
Ru 0.000 0.000 0.490 [1 per cell]

The following is a DFT calculation (meta-GGA SCAN) of a crystal of CdPBr relaxed with PBEsol.

Output
As for the magnetic moment: 7.0 μB/cell. As for the energy: -229.3 eV for the cell shown. The calculation puts the uncorrected formation energy at 3.0 eV per formula unit.

Lattice parameters (Å, degrees): 6.668 6.668 6.668 90.00 90.00 90.00
Space group F-43m (No. 216)
Unique sites:
Cd 0.000 0.000 0.000 [4 per cell]
P 0.000 0.000 0.500 [4 per cell]
Br 0.250 0.250 0.250 [4 per cell]

The following is a DFT calculation (meta-GGA SCAN) of a crystal of MgBPd3 relaxed with PBEsol.

Output
The value obtained for the formation energy is -0.502 eV/atom. As for the magnetic moment: 0.0 μB/cell. As for the energy: -113.2 eV for the cell shown.

Lattice parameters (Å, degrees): 4.134 4.134 4.134 90.00 90.00 90.00
Space group Pm-3m (No. 221)
Unique sites:
Mg 0.000 0.000 0.000 [1 per cell]
B 0.500 0.500 0.500 [1 per cell]
'''
End of the crystal structures:
Set Boundaries — There is an over-abundance of COVID-19 related news and media. While it’s important to stay informed, excessive consumption can contribute to increased fear and anxiety. Try limiting news intake to particular times of day or a few reputable sources, and then use the rest of your media consuming time to catch-up with loved ones, watch funny videos, and explore new and interesting topics.
Get Outside — Exposure to sunlight can increase Vitamin D production which is associated with reduced risk for depression and anxiety, and being in nature improves our mood and feelings of well-being. If you have access to safe outdoor space that you’re able to enjoy while socially distancing, consider incorporating an afternoon walk into your routine or sitting outside to read or study. If you aren’t able to physically go outside, spend time relaxing near a window or recalling your favorite outdoor setting — research shows that even imagining yourself in nature can have the same positive effects as being there!

# What comes next are crystal structures, not part of the text
+++
1.
A plane-wave DFT calculation with PBE was carried out for crystalline Nd2PuNi4Ge3 at its relaxed geometry.

Structure (CIF):
```
data_Nd2PuNi4Ge3
_cell_length_a 4.244
_cell_length_b 4.244
_cell_length_c 10.098
_cell_angle_alpha 90.00
_cell_angle_beta 90.00
_cell_angle_gamma 90.00
_symmetry_space_group_name_H-M 'P 1'
_symmetry_Int_Tables_number 1
loop_
_symmetry_equiv_pos_as_xyz
'x,y,z'
loop_
_atom_site_label
_atom_site_type_symbol
_atom_site_fract_x
_atom_site_fract_y
_atom_site_fract_z
_atom_site_occupancy
Ni1 Ni 0.500 0.500 0.000 1
Ge1 Ge 0.500 0.000 0.883 1
Ni2 Ni 0.000 0.500 0.350 1
Nd1 Nd 0.000 0.500 0.774 1
Ni3 Ni 0.000 0.000 0.000 1
Ni4 Ni 0.500 0.000 0.650 1
Pu1 Pu 0.500 0.500 0.500 1
Nd2 Nd 0.500 0.000 0.226 1
Ge2 Ge 0.000 0.000 0.500 1
Ge3 Ge 0.000 0.500 0.117 1
```

Results
ΔE_f ... -0.55 eV/atom



2.
A plane-wave DFT calculation with PBE was carried out for crystalline Ag3Pd2Au at its relaxed geometry.

Structure (CIF):
```
data_Ag3Pd2Au
_cell_length_a 7.065
_cell_length_b 5.770
_cell_length_c 5.770
_cell_angle_alpha 120.00
_cell_angle_beta 90.00
_cell_angle_gamma 90.00
_symmetry_space_group_name_H-M 'P 1'
_symmetry_Int_Tables_number 1
loop_
_symmetry_equiv_pos_as_xyz
'x,y,z'
loop_
_atom_site_label
_atom_site_type_symbol
_atom_site_fract_x
_atom_site_fract_y
_atom_site_fract_z
_atom_site_occupancy
Ag1 Ag 0.330 0.167 0.334 1
Ag2 Ag 0.330 0.167 0.833 1
Pd1 Pd 0.000 0.500 0.000 1
Ag3 Ag 0.670 0.833 0.167 1
Au1 Au 0.674 0.333 0.667 1
Pd2 Pd 0.000 0.000 0.500 1
Ag4 Ag 0.670 0.833 0.666 1
Ag5 Ag 0.330 0.666 0.833 1
Au2 Au 0.326 0.667 0.333 1
Ag6 Ag 0.670 0.334 0.167 1
Pd3 Pd 0.000 0.500 0.500 1
Pd4 Pd 0.000 0.000 0.000 1
```

Results
E above lowest polymorph ... 5.1 meV/atom
ΔE_f ... -0.05 eV/atom



3.
A plane-wave DFT calculation with PBE was carried out for crystalline V2GaSiBr at its relaxed geometry.

Structure (CIF):
```
data_V2GaSiBr
_cell_length_a 4.861
_cell_length_b 5.102
_cell_length_c 4.861
_cell_angle_alpha 90.00
_cell_angle_beta 90.00
_cell_angle_gamma 90.00
_symmetry_space_group_name_H-M 'P 1'
_symmetry_Int_Tables_number 1
loop_
_symmetry_equiv_pos_as_xyz
'x,y,z'
loop_
_atom_site_label
_atom_site_type_symbol
_atom_site_fract_x
_atom_site_fract_y
_atom_site_fract_z
_atom_site_occupancy
Si1 Si 0.500 0.500 0.500 1
Br1 Br 0.000 0.500 0.000 1
V1 V 0.500 0.000 0.000 1
V2 V 0.000 0.000 0.500 1
Ga1 Ga 0.000 0.000 0.000 1
```

Results
Energy relative to the elements, uncorrected ... 1.3866 eV/atom



4.
A plane-wave DFT calculation with PBE was carried out for crystalline KMo2 at its relaxed geometry.

Structure (CIF):
```
data_KMo2
_cell_length_a 6.051
_cell_length_b 6.051
_cell_length_c 8.755
_cell_angle_alpha 88.66
_cell_angle_beta 88.66
_cell_angle_gamma 28.65
_symmetry_space_group_name_H-M 'P 1'
_symmetry_Int_Tables_number 1
loop_
_symmetry_equiv_pos_as_xyz
'x,y,z'
loop_
_atom_site_label
_atom_site_type_symbol
_atom_site_fract_x
_atom_site_fract_y
_atom_site_fract_z
_atom_site_occupancy
Mo1 Mo 0.055 0.055 0.368 1
+++
Breathe — When your body is in a stress response, breathing becomes quicker and shallower. To move your body into a more relaxed state, focus on breathing slowly and filling your lungs fully with air before exhaling. Putting a hand on your stomach or counting (e.g., inhaling for 4, holding for 2 and exhaling for 6) can provide helpful cues. The great thing about breathing as a stress management technique is you can use it anytime, such as during a test or before speaking in front of the class, without anyone knowing.
— Tracy Jalaba, OTD, OTR/L, of the USC Occupational Therapy Faculty Practice